Source:
┌──
No. 1
A plane-wave DFT calculation with PBE with a Hubbard U was carried out for crystalline Li2Fe3F8 at its relaxed geometry.

Properties
**Final energy**: -5.33 eV/atom
**Magnetization**: 24.0 μB per cell
**Formation enthalpy at 0 K**: -2.7124 eV/atom

Lattice parameters (Å, degrees): 5.3661 6.2121 9.7826 90.00 90.00 90.00
Atoms (fractional coordinates):
Li  0.9855  0.5000  0.6922
Li  0.5145  0.0000  0.1922
Li  0.4855  0.0000  0.8078
Li  0.0145  0.5000  0.3078
Fe  0.0000  0.7684  0.0000
Fe  0.0000  0.2316  0.0000
Fe  0.0000  0.0000  0.5000
Fe  0.5000  0.5000  0.0000
Fe  0.5000  0.7316  0.5000
Fe  0.5000  0.2684  0.5000
F  0.1520  0.5000  0.1161
F  0.1794  0.7584  0.3901
F  0.1794  0.2416  0.3901
F  0.1690  0.0000  0.1215
F  0.3310  0.5000  0.6215
F  0.3206  0.7416  0.8901
F  0.3206  0.2584  0.8901
F  0.3480  0.0000  0.6161
F  0.6520  0.0000  0.3839
F  0.6794  0.7416  0.1099
F  0.6794  0.2584  0.1099
F  0.6690  0.5000  0.3785
F  0.8310  0.0000  0.8785
F  0.8206  0.7584  0.6099
F  0.8206  0.2416  0.6099
F  0.8480  0.5000  0.8839

=====

No. 2
A plane-wave DFT calculation with PBE with a Hubbard U was carried out for crystalline SrCa7TiMn7O22 at its relaxed geometry.

Properties
**Final energy**: -7.09 eV/atom
**Magnetization**: 25.0 μB per cell
**Formation enthalpy at 0 K**: -2.6183 eV/atom

Lattice parameters (Å, degrees): 7.7054 7.7054 7.7115 89.93 89.93 90.67
Atoms (fractional coordinates):
Sr  0.2522  0.2522  0.2279
Ca  0.2540  0.2540  0.7400
Ca  0.2486  0.7430  0.2428
Ca  0.2597  0.7478  0.7335
Ca  0.7430  0.2486  0.2428
Ca  0.7478  0.2597  0.7335
Ca  0.7487  0.7487  0.2485
Ca  0.7492  0.7492  0.6951
Ti  0.9904  0.9904  0.9786
Mn  0.0013  0.0013  0.5026
Mn  0.9946  0.5036  0.0068
Mn  0.9996  0.5010  0.4970
Mn  0.5036  0.9946  0.0068
Mn  0.5010  0.9996  0.4970
Mn  0.5076  0.5076  0.9873
Mn  0.5014  0.5014  0.5086
O  0.9573  0.9573  0.7556
O  0.0315  0.4684  0.2535
O  0.9629  0.5350  0.7536
O  0.4684  0.0315  0.2535
O  0.5350  0.9629  0.7536
O  0.5395  0.5395  0.7514
O  0.2462  0.9963  0.9875
O  0.2494  0.9991  0.5373
O  0.2554  0.5045  0.9855
O  0.2528  0.5026  0.5286
O  0.7545  0.0012  0.0563
O  0.7549  0.0029  0.4535
O  0.7432  0.4972  0.0597
O  0.7453  0.4973  0.4564
O  0.9963  0.2462  0.9875
O  0.9991  0.2494  0.5373
O  0.0012  0.7545  0.0563
O  0.0029  0.7549  0.4535
O  0.5045  0.2554  0.9855
O  0.5026  0.2528  0.5286
O  0.4972  0.7432  0.0597
O  0.4973  0.7453  0.4564

=====

No. 3
A plane-wave DFT calculation with PBE with a Hubbard U was carried out for crystalline Li2Mn3NbO8 at its relaxed geometry.

Properties
**Final energy**: -7.33 eV/atom
**Magnetization**: 0.0 μB per cell
**Formation enthalpy at 0 K**: -2.2983 eV/atom

Lattice parameters (Å, degrees): 6.0283 10.7712 6.0282 90.00 120.00 73.75
Atoms (fractional coordinates):
Li  0.8742  0.1887  0.9371
Li  0.8742  0.6887  0.4371
Li  0.1258  0.3113  0.5629
Li  0.1258  0.8113  0.0629
Mn  0.5000  0.0000  0.5000
Mn  0.0000  0.0000  0.5000
Mn  0.5000  0.0000  0.0000
Mn  0.5000  0.5000  0.0000
Mn  0.0000  0.5000  0.0000
Mn  0.5000  0.5000  0.5000
Nb  0.5000  0.7500  0.7500
Nb  0.5000  0.2500  0.2500
O  0.7261  0.4108  0.8630
O  0.7261  0.9108  0.3630
O  0.2739  0.0892  0.6370
O  0.2739  0.5892  0.1369
O  0.7345  0.6281  0.0971
O  0.7345  0.1281  0.5971
O  0.2748  0.6281  0.6374
O  0.2749  0.1281  0.1374
O  0.7345  0.6281  0.6374
O  0.7345  0.1281  0.1374
O  0.2655  0.8719  0.8626
O  0.2655  0.3719  0.3626
O  0.7251  0.8719  0.8626
O  0.7252  0.3719  0.3626
O  0.2655  0.8719  0.4029
O  0.2655  0.3719  0.9029

=====

No. 4
A plane-wave DFT calculation with PBE with a Hubbard U was carried out for crystalline CaLa3Mn4O12 at its relaxed geometry.

Properties
**Final energy**: -7.79 eV/atom
**Magnetization**: 15.0 μB per cell
**Formation enthalpy at 0 K**: -2.8940 eV/atom

Lattice parameters (Å, degrees): 7.8519 5.5439 5.5462 89.45 90.00 90.00
Atoms (fractional coordinates):
Ca  0.0000  0.4924  0.4702
La  0.0000  0.0065  0.9723
La  0.5000  0.5060  0.5263
└──

Activity:
Next, retype every line further above that contains the word "Li2Fe3F8".

Written answer:
A plane-wave DFT calculation with PBE with a Hubbard U was carried out for crystalline Li2Fe3F8 at its relaxed geometry.